┌──
No. 1
# Zr2Np
Computed powder diffraction line list, copper Kα. Input: a DFT-relaxed cell (PBE, the Materials Project).
Intensities are scaled so that the largest is 100.

The 10 most intense peaks (2θ from 10° to 90°), by intensity:
34.26 deg, I = 100, hkl 1 1 0; 37.65 deg, I = 94, hkl 1 0 1; 63.59 deg, I = 41, hkl 2 1 1; 19.58 deg, I = 41, hkl 1 0 0; 51.81 deg, I = 38, hkl 2 0 1; 77.00 deg, I = 19, hkl 1 1 2; 84.39 deg, I = 19, hkl 3 1 1; 61.35 deg, I = 19, hkl 3 0 0; 72.18 deg, I = 11, hkl 2 2 0; 39.77 deg, I = 7, hkl 2 0 0

Crystal structure
```
data_Zr2Np
_chemical_formula_sum 'Zr2 Np1'
_cell_length_a 5.2347
_cell_length_b 5.2347
_cell_length_c 2.8115
_cell_angle_alpha 90.00
_cell_angle_beta 90.00
_cell_angle_gamma 120.00
_space_group_name_H-M_alt 'P 6/m m m'
_space_group_IT_number 191
_space_group_name_Hall '-P 6 2'
loop_
_atom_site_label
_atom_site_fract_x
_atom_site_fract_y
_atom_site_fract_z
Zr1 0.3333 0.6667 0.0000
Np1 0.0000 0.0000 0.5000
```

***

No. 2
# Ca2TlPb
Computed powder diffraction line list, copper Kα. Input: a DFT-relaxed cell (PBE, the Materials Project).
Intensities are scaled so that the largest is 100.

The 10 most intense peaks (2θ from 10° to 90°), by intensity:
32.22 deg, I = 100, hkl 2 2 0; 22.63 deg, I = 50, hkl 2 0 0; 57.44 deg, I = 39, hkl 4 2 2; 52.04 deg, I = 24, hkl 4 2 0; 46.20 deg, I = 18, hkl 4 0 0; 76.69 deg, I = 17, hkl 6 2 0; 39.73 deg, I = 16, hkl 2 2 2; 67.41 deg, I = 12, hkl 4 4 0; 72.11 deg, I = 12, hkl 6 0 0; 81.18 deg, I = 7, hkl 6 2 2

Crystal structure
```
data_Ca2TlPb
_chemical_formula_sum 'Ca8 Tl4 Pb4'
_cell_length_a 7.8591
_cell_length_b 7.8591
_cell_length_c 7.8591
_cell_angle_alpha 90.00
_cell_angle_beta 90.00
_cell_angle_gamma 90.00
_space_group_name_H-M_alt 'F m -3 m'
_space_group_IT_number 225
_space_group_name_Hall '-F 4 2 3'
loop_
_atom_site_label
_atom_site_fract_x
_atom_site_fract_y
_atom_site_fract_z
Ca1 0.2500 0.2500 0.2500
Tl1 0.0000 0.0000 0.0000
Pb1 0.0000 0.0000 0.5000
```
└──
Quote only the lines earlier on with the word "Materials" in them.
Computed powder diffraction line list, copper Kα. Input: a DFT-relaxed cell (PBE, the Materials Project).
Computed powder diffraction line list, copper Kα. Input: a DFT-relaxed cell (PBE, the Materials Project).